## Material
-- begin --
The following is a simulated powder diffractogram of Rb4CaMn3F12. It was derived from a structure optimized by DFT (GGA+U), using Cu Kα, 1.54184 Å.

Structural model:
```
data_Rb4CaMn3F12
_chemical_formula_sum 'Rb8 Ca2 Mn6 F24'
_cell_length_a 8.7179
_cell_length_b 8.7179
_cell_length_c 8.7179
_cell_angle_alpha 90.00
_cell_angle_beta 90.00
_cell_angle_gamma 90.00
_space_group_name_H-M_alt 'I m -3 m'
_space_group_IT_number 229
_space_group_name_Hall '-I 4 2 3'
loop_
_atom_site_label
_atom_site_type_symbol
_atom_site_fract_x
_atom_site_fract_y
_atom_site_fract_z
Rb1 Rb 0.2500 0.2500 0.2500
Ca1 Ca 0.0000 0.0000 0.0000
Mn1 Mn 0.0000 0.0000 0.5000
F1 F 0.0000 0.0000 0.2572
F2 F 0.0000 0.2500 0.5000
```

Largest 10 diffraction maxima, low angle first, 15 to 90 degrees two-theta:
(2 0 0), 2θ = 20.4°, d = 4.359 Å, I 1
(2 2 0), 2θ = 29.0°, d = 3.082 Å, I 100
(2 2 2), 2θ = 35.7°, d = 2.517 Å, I 23
(4 0 0), 2θ = 41.4°, d = 2.179 Å, I 50
(4 2 2), 2θ = 51.3°, d = 1.780 Å, I 39
(4 4 0), 2θ = 60.0°, d = 1.541 Å, I 30
(6 2 0), 2θ = 68.0°, d = 1.378 Å, I 17
(6 2 2), 2θ = 71.8°, d = 1.314 Å, I 7
(4 4 4), 2θ = 75.6°, d = 1.258 Å, I 9
(6 4 2), 2θ = 82.9°, d = 1.165 Å, I 20

----------

[1]
Starting from a structure optimized by DFT (GGA-PBE), the PXRD pattern of DyNi2Ge4 was simulated for Cu Kα X-rays.

abc: 17.242 4.093 6.587
angles: 90.00 90.00 90.00
Atoms (fractional coordinates):
Dy (0.140, 0.250, 0.016)
Dy (0.360, 0.750, 0.516)
Dy (0.640, 0.250, 0.484)
Dy (0.860, 0.750, 0.984)
Ni (0.034, 0.750, 0.757)
Ni (0.210, 0.250, 0.484)
Ni (0.290, 0.750, 0.984)
Ni (0.466, 0.250, 0.257)
Ni (0.534, 0.750, 0.743)
Ni (0.710, 0.250, 0.016)
Ni (0.790, 0.750, 0.516)
Ni (0.966, 0.250, 0.243)
Ge (0.028, 0.750, 0.139)
Ge (0.065, 0.250, 0.518)
Ge (0.178, 0.750, 0.698)
Ge (0.202, 0.750, 0.287)
Ge (0.298, 0.250, 0.787)
Ge (0.322, 0.250, 0.198)
Ge (0.435, 0.750, 0.018)
Ge (0.472, 0.250, 0.639)
Ge (0.528, 0.750, 0.361)
Ge (0.565, 0.250, 0.982)
Ge (0.678, 0.750, 0.802)
Ge (0.702, 0.750, 0.213)
Ge (0.798, 0.250, 0.713)
Ge (0.822, 0.250, 0.302)
Ge (0.935, 0.750, 0.482)
Ge (0.972, 0.250, 0.861)

Principal peaks in the range 2θ from 15° to 90°, low angle first:
d_spacing, Position (°2θ), Rel. int.
2.459, 36.54, 100
2.448, 36.71, 67
2.352, 38.27, 22
2.307, 39.04, 35
2.051, 44.16, 20
2.047, 44.26, 40
1.531, 60.47, 19
1.361, 68.98, 18



[2]
Starting from a structure optimized by DFT (GGA-PBE), the PXRD pattern of Al2Ag5Cl12 was simulated for Cu Kα X-rays.

abc: 7.976 7.976 9.658
angles: 105.52 105.52 52.74
Atoms (fractional coordinates):
Al (0.250, 0.750, 0.000)
Al (0.750, 0.250, 0.000)
Ag (0.000, 0.000, 0.500)
Ag (0.265, 0.265, 0.291)
Ag (0.301, 0.301, 0.629)
Ag (0.699, 0.699, 0.371)
Ag (0.735, 0.735, 0.709)
Cl (0.029, 0.029, 0.852)
Cl (0.097, 0.575, 0.875)
Cl (0.111, 0.621, 0.463)
Cl (0.379, 0.889, 0.537)
Cl (0.425, 0.903, 0.125)
Cl (0.471, 0.471, 0.151)
Cl (0.529, 0.529, 0.849)
Cl (0.575, 0.097, 0.875)
Cl (0.621, 0.111, 0.463)
Cl (0.889, 0.379, 0.537)
Cl (0.903, 0.425, 0.125)
Cl (0.971, 0.971, 0.148)

Principal peaks in the range 2θ from 15° to 90°, low angle first:
d_spacing, Position (°2θ), Rel. int.
4.491, 19.77, 67
3.898, 22.81, 100
3.827, 23.25, 99
2.924, 30.57, 97
2.457, 36.58, 98
2.445, 36.76, 75
2.366, 38.03, 59
2.060, 43.95, 73



[3]
Starting from a structure optimized by DFT (GGA-PBE), the PXRD pattern of ThCS was simulated for Cu Kα X-rays.

abc: 8.149 8.149 8.149
angles: 151.80 150.63 41.17
Atoms (fractional coordinates):
Th (0.132, 0.132, 0.000)
Th (0.868, 0.868, 0.000)
C (0.345, 0.000, 0.345)
C (0.655, 0.000, 0.655)
S (0.326, 0.326, 0.000)
S (0.674, 0.674, 0.000)

Principal peaks in the range 2θ from 15° to 90°, low angle first:
d_spacing, Position (°2θ), Rel. int.
3.988, 22.29, 59
3.842, 23.15, 72
3.814, 23.32, 79
3.207, 27.82, 48
3.129, 28.52, 35
2.863, 31.25, 100
2.289, 39.35, 96
1.818, 50.19, 39



[4]
Starting from a structure optimized by DFT (GGA-PBE), the PXRD pattern of LaZn3Ga3 was simulated for Cu Kα X-rays.

abc: 7.082 4.433 9.196
-- stop --
## Assignment
Your job: restate the part of the block earlier on that starts with the line with "29.0°," and stops after the one with "(0.674, 0.674,".
## Outcome
(2 2 0), 2θ = 29.0°, d = 3.082 Å, I 100
(2 2 2), 2θ = 35.7°, d = 2.517 Å, I 23
(4 0 0), 2θ = 41.4°, d = 2.179 Å, I 50
(4 2 2), 2θ = 51.3°, d = 1.780 Å, I 39
(4 4 0), 2θ = 60.0°, d = 1.541 Å, I 30
(6 2 0), 2θ = 68.0°, d = 1.378 Å, I 17
(6 2 2), 2θ = 71.8°, d = 1.314 Å, I 7
(4 4 4), 2θ = 75.6°, d = 1.258 Å, I 9
(6 4 2), 2θ = 82.9°, d = 1.165 Å, I 20

----------

[1]
Starting from a structure optimized by DFT (GGA-PBE), the PXRD pattern of DyNi2Ge4 was simulated for Cu Kα X-rays.

abc: 17.242 4.093 6.587
angles: 90.00 90.00 90.00
Atoms (fractional coordinates):
Dy (0.140, 0.250, 0.016)
Dy (0.360, 0.750, 0.516)
Dy (0.640, 0.250, 0.484)
Dy (0.860, 0.750, 0.984)
Ni (0.034, 0.750, 0.757)
Ni (0.210, 0.250, 0.484)
Ni (0.290, 0.750, 0.984)
Ni (0.466, 0.250, 0.257)
Ni (0.534, 0.750, 0.743)
Ni (0.710, 0.250, 0.016)
Ni (0.790, 0.750, 0.516)
Ni (0.966, 0.250, 0.243)
Ge (0.028, 0.750, 0.139)
Ge (0.065, 0.250, 0.518)
Ge (0.178, 0.750, 0.698)
Ge (0.202, 0.750, 0.287)
Ge (0.298, 0.250, 0.787)
Ge (0.322, 0.250, 0.198)
Ge (0.435, 0.750, 0.018)
Ge (0.472, 0.250, 0.639)
Ge (0.528, 0.750, 0.361)
Ge (0.565, 0.250, 0.982)
Ge (0.678, 0.750, 0.802)
Ge (0.702, 0.750, 0.213)
Ge (0.798, 0.250, 0.713)
Ge (0.822, 0.250, 0.302)
Ge (0.935, 0.750, 0.482)
Ge (0.972, 0.250, 0.861)

Principal peaks in the range 2θ from 15° to 90°, low angle first:
d_spacing, Position (°2θ), Rel. int.
2.459, 36.54, 100
2.448, 36.71, 67
2.352, 38.27, 22
2.307, 39.04, 35
2.051, 44.16, 20
2.047, 44.26, 40
1.531, 60.47, 19
1.361, 68.98, 18



[2]
Starting from a structure optimized by DFT (GGA-PBE), the PXRD pattern of Al2Ag5Cl12 was simulated for Cu Kα X-rays.

abc: 7.976 7.976 9.658
angles: 105.52 105.52 52.74
Atoms (fractional coordinates):
Al (0.250, 0.750, 0.000)
Al (0.750, 0.250, 0.000)
Ag (0.000, 0.000, 0.500)
Ag (0.265, 0.265, 0.291)
Ag (0.301, 0.301, 0.629)
Ag (0.699, 0.699, 0.371)
Ag (0.735, 0.735, 0.709)
Cl (0.029, 0.029, 0.852)
Cl (0.097, 0.575, 0.875)
Cl (0.111, 0.621, 0.463)
Cl (0.379, 0.889, 0.537)
Cl (0.425, 0.903, 0.125)
Cl (0.471, 0.471, 0.151)
Cl (0.529, 0.529, 0.849)
Cl (0.575, 0.097, 0.875)
Cl (0.621, 0.111, 0.463)
Cl (0.889, 0.379, 0.537)
Cl (0.903, 0.425, 0.125)
Cl (0.971, 0.971, 0.148)

Principal peaks in the range 2θ from 15° to 90°, low angle first:
d_spacing, Position (°2θ), Rel. int.
4.491, 19.77, 67
3.898, 22.81, 100
3.827, 23.25, 99
2.924, 30.57, 97
2.457, 36.58, 98
2.445, 36.76, 75
2.366, 38.03, 59
2.060, 43.95, 73



[3]
Starting from a structure optimized by DFT (GGA-PBE), the PXRD pattern of ThCS was simulated for Cu Kα X-rays.

abc: 8.149 8.149 8.149
angles: 151.80 150.63 41.17
Atoms (fractional coordinates):
Th (0.132, 0.132, 0.000)
Th (0.868, 0.868, 0.000)
C (0.345, 0.000, 0.345)
C (0.655, 0.000, 0.655)
S (0.326, 0.326, 0.000)
S (0.674, 0.674, 0.000)